
Technical Debt Recommendations

Technical debt is any shortcut that a team chooses to do now that will slow down future development if left undone.1 Some people prefer to tackle technical debt as they work on stories, only eliminating technical debt that will help with their story. Others will take a different approach where they tackle technical debt by scheduling periods of time where the only focus is to tackle technical debt. Dealing with technical debt is a conversation that needs to be had between software engineers and business people. I’ll give my recommendations for how to go about tackling technical debt as well as how software engineers and business people can communicate together to come up with a plan for tackling technical debt.

Tackling technical debt as you work on stories

In this approach, we do not schedule a task for eliminating technical debt. We work on our stories just like normal but we eliminate technical debt whenever it slows down our task. Suppose there is a poorly named variable in the code called ‘aiekdj.’ Let’s even say that we are aware that this variable is in the code somewhere. If our user story we are working on has no affiliation with this variable, then we will complete our user story without having changed the variable name. If the user story we are working on depends on this variable somehow, we will change the variable name to be more descriptive.

This approach should be your default way of eliminating technical debt. With this approach, you immediately benefit every time you eliminate technical debt. The problem with scheduling time periods for technical debt tasks where all you do is eliminate technical debt is that you don’t get any benefit until you go on to do a task that benefits from having that technical debt removed. If you eliminate some technical debt but never end up doing a task that benefits from it, then eliminating the technical debt was not a good use of your time. Thus, scheduling technical debt tasks poses significant risk in that removing the technical debt might never go on to pay for itself. Tackling technical debt as you work on stories still has the chance of not being not worth the investment but the chance of that is much lower.

Scheduling technical debt tasks

In this approach, we schedule tasks for eliminating technical debt. The only purpose of these tasks is to eliminate technical debt. No immediate business value is achieved. The goal is that we will eventually go on to do tasks at a later point in time that will benefit from having eliminated this technical debt.

From the previous section, I hinted that tackling technical debt while you work on stories is the better approach. In most technical debt scenarios, you can remove a little bit of tech debt by doing a little bit of work which is how the tackling tech debt as you work on stories approach works best. However, in a few scenarios, the tech debt is set up in such a way that you cannot remove a little bit of tech debt by doing a little bit of work. The only way to even remove any tech debt might be to remove a lot of the tech debt by doing a lot of work. Perhaps you have to uplift your project to a different framework or technology and the framework or technology is set up in such a way where it either all goes through or none of it goes through. Instead of it being possible to just uplift a few files at a time and the project works with only a few files uplifted, maybe the framework or technology requires all files to be uplifted for the project to build. This would be an example where scheduling a technical debt task is the better of the two approaches.

Doing an approach that introduces technical debt is not always the wrong idea

I used to think that doing something that introduces technical debt was always the wrong approach. I was of the opinion that the only thing that matters is that we complete as much work as possible in the long term. I read a book and found out I was wrong.1

When thinking about doing something that will add technical debt, we need to answer the following question:

Should we take some shortcuts that will get our feature to market earlier but will slow down some future releases?

## Inserted here: calculated crystals
........
1.
Computed, not measured: crystalline RbZn3Ga4 at its relaxed geometry at the PBE level of DFT.

Computed properties:
- Crystal system: tetragonal
- Symmetry: P4/mmm, No. 123
- Energy of formation from the pure elements: -0.011 eV/atom

Lattice parameters (Å, degrees): 4.501 4.501 8.523 90.00 90.00 90.00
Element x y z (fractional)
Ga1 0.500 0.000 0.834
Ga2 0.000 0.500 0.166
Ga3 0.000 0.500 0.834
Ga4 0.500 0.000 0.166
Zn1 0.500 0.500 0.342
Zn2 0.500 0.500 0.658
Zn3 0.000 0.000 0.000
Rb1 0.000 0.000 0.500

2.
Computed, not measured: crystalline LiTa2Ir at its relaxed geometry at the PBE level of DFT.

Computed properties:
- Crystal system: monoclinic
- Symmetry: P2/m, No. 10
- Energy of formation from the pure elements: -0.070 eV/atom

Lattice parameters (Å, degrees): 4.250 2.815 5.524 75.07 90.00 90.00
Element x y z (fractional)
Li1 0.500 0.750 0.750
Ir1 0.500 0.250 0.250
Ta1 0.000 0.524 0.495
Ta2 0.000 0.976 0.005

3.
Computed, not measured: crystalline CrHg2I at its relaxed geometry at the PBE level of DFT.

Computed properties:
- Crystal system: triclinic
- Energy relative to the elements, uncorrected: 0.162 eV/atom
- Symmetry: P1, No. 1
- Energy relative to the lowest polymorph listed for this composition: 0.0395 eV/atom

Lattice parameters (Å, degrees): 3.893 6.810 9.620 67.33 89.58 89.00
Site moments in Bohr magnetons follow the coordinates.
Element x y z (fractional)
I1 0.684 0.735 0.045  -0.02
I2 0.714 0.349 0.807  0.00
Hg1 0.203 0.342 0.456  0.04
Hg2 0.700 0.759 0.371  0.03
Hg3 0.190 0.171 0.196  0.02
Hg4 0.694 0.950 0.625  0.05
Cr1 0.185 0.980 0.840  3.94
Cr2 0.202 0.638 0.614  3.95

4.
Computed, not measured: crystalline Rb3Sm3HfTe8 at its relaxed geometry at the PBE level of DFT.

Computed properties:
- Crystal system: trigonal
- Energy relative to the elements, uncorrected: -1.271 eV/atom
- Symmetry: R-3m, No. 166

Lattice parameters (Å, degrees): 8.938 8.935 10.185 116.03 90.00 120.01
Element x y z (fractional)
Te1 0.752 0.973 0.693
Te2 0.248 0.027 0.307
Te3 0.221 0.973 0.693
Te4 0.221 0.441 0.693
Te5 0.779 0.027 0.307
Te6 0.265 0.530 0.296
Te7 0.735 0.470 0.704
Te8 0.779 0.559 0.307
Sm1 0.000 0.500 0.500
Sm2 0.500 0.500 0.500
Sm3 0.500 0.000 0.500
Hf1 0.000 0.000 0.500
Rb1 0.000 0.500 0.000
Rb2 0.000 0.000 0.000
Rb3 0.500 0.500 0.000

5.
Computed, not measured: crystalline BaSr2Si at its relaxed geometry at the PBE level of DFT.

Computed properties:
- Crystal system: tetragonal
- Energy relative to the elements, uncorrected: 0.059 eV/atom
- Symmetry: I-4m2, No. 119

Lattice parameters (Å, degrees): 6.434 6.434 6.434 131.61 131.61 70.84
Element x y z (fractional)
Sr1 0.000 0.000 0.000
Sr2 0.250 0.750 0.500
Ba1 0.500 0.500 0.000
Si1 0.750 0.250 0.500

6.
Computed, not measured: crystalline Ti4Re2Tc3 at its relaxed geometry at the PBE level of DFT.

Computed properties:
- Crystal system: trigonal
- Symmetry: P-3m1, No. 164
- Energy of formation from the pure elements: -0.452 eV/atom
........
## Back to the page

In most scenarios, the answer is no. Sometimes the answer will be yes.

### Data records from another source follow
____________
--- P ---
Density functional theory data (PBE) for a relaxed HfPaV2 crystal.

Cell: 4.7000 4.7000 4.7000 Å, 60.00 60.00 60.00°
Last column: nearest neighbours and their distance in Å.
Positions (direct):
V (0.2500, 0.2500, 0.2500)  4 Hf 2.88, 4 Pa 2.88
V (0.7500, 0.7500, 0.7500)  4 Pa 2.88, 4 Hf 2.88
Hf (0.0000, 0.0000, 0.0000)  8 V 2.88
Pa (0.5000, 0.5000, 0.5000)  8 V 2.88

Output
Its calculated density is 11.57 g/cm3. Its symmetry is Fm-3m (225). Its magnetic moment is 0.000 μB/atom.



--- Q ---
Density functional theory data (PBE) for a relaxed HfPaV2 crystal.

Cell: 3.2036 3.2036 8.6681 Å, 79.35 79.35 60.00°
Last column: nearest neighbours and their distance in Å.
Positions (direct):
Hf (0.5000, 0.5000, 0.5000)  6 V 2.89, 6 Hf 3.20
Pa (0.0000, 0.0000, 0.0000)  6 V 2.73
V (0.2541, 0.2541, 0.2376)  3 Pa 2.73, 3 Hf 2.89
V (0.7459, 0.7459, 0.7624)  3 Pa 2.73, 3 Hf 2.89

Output
Its calculated density is 11.28 g/cm3. Its symmetry is R-3m (166). Its magnetic moment is 0.187 μB/atom.



Most stable to least stable, the ends of the list are P and Q.



--- P ---
Density functional theory data (PBE) for a relaxed HfPa2Zn crystal.

Cell: 4.8306 4.2588 4.2588 Å, 90.00 90.00 90.00°
Last column: nearest neighbours and their distance in Å.
Positions (direct):
Zn (0.5000, 0.0000, 0.0000)  4 Hf 3.01, 8 Pa 3.22
Pa (0.0000, 0.5000, 0.0000)  4 Pa 3.01, 4 Hf 3.22, 4 Zn 3.22
Pa (0.0000, 0.0000, 0.5000)  4 Pa 3.01, 4 Hf 3.22, 4 Zn 3.22
Hf (0.5000, 0.5000, 0.5000)  4 Zn 3.01, 8 Pa 3.22

Output
Its calculated density is 13.38 g/cm3. Its symmetry is P4/mmm (123). Its magnetic moment is 0.000 μB/atom.



--- Q ---
Density functional theory data (PBE) for a relaxed HfPa2Zn crystal.

Cell: 3.0990 3.0990 11.7303 Å, 82.41 82.41 60.00°
Last column: nearest neighbours and their distance in Å.
Positions (direct):
Hf (0.5000, 0.5000, 0.5000)  6 Hf 3.10, 6 Pa 3.27
Pa (0.9121, 0.9121, 0.2638)  1 Zn 3.06, 6 Pa 3.10, 3 Hf 3.27
Pa (0.0879, 0.0879, 0.7362)  1 Zn 3.06, 6 Pa 3.10, 3 Hf 3.27
Zn (0.0000, 0.0000, 0.0000)  2 Pa 3.06, 6 Zn 3.10

Output
Its calculated density is 12.16 g/cm3. Its symmetry is R-3m (166). Its magnetic moment is 0.000 μB/atom.



--- R ---
Density functional theory data (PBE) for a relaxed HfPa2Zn crystal.

Cell: 3.7842 3.7842 6.4592 Å, 90.00 90.00 90.00°
Last column: nearest neighbours and their distance in Å.
Positions (direct):
Zn (0.5000, 0.5000, 0.0000)  8 Pa 3.03, 2 Hf 3.23
Pa (0.0000, 0.0000, 0.7797)  1 Pa 2.85, 4 Zn 3.03
Pa (0.0000, 0.0000, 0.2203)  1 Pa 2.85, 4 Zn 3.03
Hf (0.5000, 0.5000, 0.5000)  8 Pa 3.23, 2 Zn 3.23

Output
Its calculated density is 12.67 g/cm3. Its symmetry is P4/mmm (123). Its magnetic moment is 0.000 μB/atom.



Most stable to least stable, the ends of the list are P and Q.



--- P ---
Density functional theory data (PBE) for a relaxed HfPaZn2 crystal.

Cell: 3.0541 3.0541 8.2916 Å, 90.00 90.00 90.00°
Last column: nearest neighbours and their distance in Å.
Positions (direct):
____________

Suppose that your company is working on a feature and a competitor of yours is working on a similar feature. Your stakeholders consider it critical that your feature makes it to market before your competitor’s feature. You could find yourself in a situation where the increase in revenue generated from taking shortcuts to deliver early more than offsets the additional cost that is incurred from introducing tech debt.

Another scenario where introducing tech debt might make sense is when you are behind schedule on a project with a strict deadline where the cost of missing the deadline is enormous. Maybe the deadline is set by the government and if you miss the deadline, all of your clients get fined a large sum by the government. Taking a shortcut that introduces technical debt is not supposed to be the default response to being behind schedule. That is where reducing scope comes into play. Maybe you have reduced scope as much as you could and you are still behind schedule. Your team starts to consider doing overtime but even with overtime you are concerned you might not make the deadline. What do you do? Unfortunately, you just might have to start brainstorming to see if there are some shortcuts you can take.

Communication between Software Engineers and business people about technical debt

When it comes to dealing with technical debt, it is good if software engineers and the business people who are deciding which features to work on are in good communication with each other. In Scrum, it’s the product owner who prioritizes which work to do. This person will usually be a business person who is non-technical and will not be familiar with technical debt.

When doing the approach of tackling the technical debt as we go, we are generally just tackling small amounts of technical debt at a time so we generally don’t have to communicate with the business person about something as small as that. We just need to make sure when we are estimating, our estimates are accounting for the additional time that might be spent eliminating technical debt.

When thinking about scheduling task(s) for large scale technical debt removal, we would want to have a conversation with the business people about this since this could push back our next release date or significantly reduce the scope of our next release. I don’t think software engineers alone can decide if doing something that delays their next release but speeds up some of the future releases is worth a try. In order to make that decision, they have to have more information on things like the cost of the feature, the revenue the feature is predicted to generate, the market, and more. Only the business person has some sort of guess about this. It is a difficult situation because the software engineer is the one who understands the impact of the technical debt but the business person understands the market.

This is why the software engineer and business person need to be in good communication. The software engineer needs to be able to express the effect of removing the technical debt in terms of business value. “If we spend 4 straight weeks removing technical debt, it will make all future features able to be completed in 75% of the time.” Now the business person has received enough information from you to decide whether or not to go forward with this technical debt task. Maybe your team doesn’t have any urgent requests right now so the business person says to go ahead and work on getting rid of the technical debt now. Or maybe you have two urgent requests right now so the business person says to get these two urgent requests done first and then work on eliminating technical debt after.

# What comes next are materials data, not part of the article
'''
{"formula": "MgTaIr2", "functional": "meta-GGA SCAN", "state": "PBEsol geometry", "e_above_lowest_polymorph_mev_per_atom": 687.6, "e_tot_ev_per_cell": -214.1, "delta_e_f_ev_per_fu": -0.38, "cell": [[2.7676, 0.0000, 0.0000], [0.0000, 2.7676, 0.0000], [0.0000, 0.0000, 8.2940]], "species": ["Mg", "Ta", "Ir", "Ir"], "fractional_positions": [[0.0000, 0.0000, 0.0000], [0.5000, 0.5000, 0.2976], [0.0000, 0.0000, 0.5425], [0.5000, 0.5000, 0.7664]]}

=====

(1)
This record from Alexandria via LeMat-Bulk describes Zr2ReCl after structural relaxation. The functional is PBE.

Total magnetic moment (μB/cell): 0.0
Crystal system: tetragonal
Energy above the most stable polymorph in this dataset (meV/atom): 818
Energy relative to the elements, uncorrected (eV per atom): 0.18
DFT total energy (eV/atom): -7.66
Calculated volume (Å³/atom): 18.95

Cell lengths 3.8228, 3.8228, 10.3730 Å; angles 90.00, 90.00, 90.00 degrees
With the nearest neighbours (Å) after each atom.
Space group I-4m2 (No. 119)
Unique sites:
Zr  0.0000  0.0000  0.0000 x2  4 Re 2.70
Zr  0.0000  0.5000  0.2500 x2  4 Cl 2.70
Re  0.0000  0.0000  0.5000 x2  4 Zr 2.70
Cl  0.0000  0.5000  0.7500 x2  4 Zr 2.70

***

(2)
This record from Alexandria via LeMat-Bulk describes VCuRuAu2 after structural relaxation. The functional is PBE.

Total magnetic moment (μB/cell): 0.0
Energy of formation from the pure elements (eV/atom): 1.08
Crystal system: tetragonal
DFT total energy (eV/atom): -4.73
Calculated volume (Å³/atom): 20.57

Cell lengths 4.9022, 4.9022, 4.2803 Å; angles 90.00, 90.00, 90.00 degrees
With the nearest neighbours (Å) after each atom.
Space group P4/mmm (No. 123)
Unique sites:
V  0.0000  0.0000  0.0000 x1  2 Ru 2.14
Cu  0.5000  0.5000  0.5000 x1  8 Au 3.25, 4 Ru 3.47
Ru  0.0000  0.0000  0.5000 x1  2 V 2.14
Au  0.0000  0.5000  0.0000 x2  2 V 2.45

***

Q: calculated volume of number 2 (VCuRuAu2)?
A: 20.57 Å³/atom

***

Q: total magnetic moment of number 1 (Zr2ReCl)?
A: 0.0 μB/cell

***
'''

When it comes to considering adding technical debt in order to meet a strict deadline, that is another conversation to be had between software engineers and the business person for similar reasons as above. We would communicate how much time we think we’ll save for our current release by adding technical debt. We would also communicate how much longer future work might take as a result of this technical debt as well as how long it might take to remove the technical debt in the future. The business person would take this information and decide if they are okay with this or if other alternatives like pushing the date back need to be considered.


In most scenarios, we want to try to remove technical debt as we work on stories. We do our story normally and only remove technical debt when it slows down our progress on our story. In some scenarios where we are not able to make small code changes that remove a small amount of tech debt, we need to think about the option of creating a separate task for a large-scale technical debt removal. The software engineer needs to express this task in terms of business value to the business person so that the business person can prioritize this task how they see fit.

Most of the time, we want to work on a feature in such a way that we release it without accumulating any technical debt. However, some extreme circumstances might arise where it is the right decision to take a shortcut that introduces technical debt.1 This is where the software engineer communicates to the business person how much time the shortcut will save for the release and how much longer future features will take to do as a result of this tech debt as well as the how long it might take to remove the technical debt in the future. The business person will take this information and decide whether we should introduce tech debt or consider other alternatives.


  1. Sterling, Christ and Barton, Brent. Managing Software Debt. Addison-Wesley, 2011.